Work order
Set down only the last part of the listing further down, starting with the line that has "No.", please.

Contents
********
No. 1
The following is a DFT calculation (wB97M-V/def2-TZVPD) of a 5-piece molecular cluster, C34H73N6O3PS2 overall.

The total energy is -3031.0481 hartree. Its spin multiplicity is 1. Its net charge is 0. The SMILES is CCSCc1c(P(=O)(O)O)c(C)cc2nsnc12.CCN(CC)CC.CCN(CC)CC.CCN(CC)CC.CCN(CC)CC. The LUMO energy is -1.878 eV.

Each line ends with the Mulliken charge.
Geometry (Å):
C (-3.903, -4.310, -2.336)  -1.118
C (-5.498, -4.114, -2.348)  0.041
S (-6.425, -5.533, -1.534)  -0.190
C (-8.232, -5.035, -1.328)  -0.774
C (-8.404, -3.633, -2.076)  -0.360
C (-8.522, -3.505, -3.642)  0.490
P (-8.482, -4.985, -4.794)  1.152
O (-7.085, -5.053, -5.480)  -0.703
O (-8.713, -6.485, -4.031)  -0.535
O (-9.654, -4.902, -6.060)  -0.561
C (-8.644, -2.013, -4.204)  0.477
C (-8.744, -1.674, -5.782)  -1.260
C (-8.636, -0.760, -3.257)  -0.741
C (-8.521, -0.864, -1.697)  0.440
N (-8.461, 0.141, -0.665)  -0.451
S (-8.301, -0.761, 0.808)  0.180
N (-8.302, -2.416, 0.324)  -0.522
C (-8.408, -2.342, -1.142)  0.347
H (-3.558, -5.084, -3.126)  0.307
H (-3.475, -4.521, -1.297)  0.332
H (-3.450, -3.296, -2.669)  0.292
H (-5.706, -3.097, -1.832)  0.163
H (-5.822, -4.041, -3.446)  0.175
H (-8.384, -4.891, -0.187)  0.418
H (-8.965, -5.847, -1.653)  0.372
H (-7.938, -7.049, -4.290)  0.352
H (-10.401, -4.357, -5.705)  0.358
H (-8.709, -2.616, -6.431)  0.361
H (-9.634, -0.995, -6.036)  0.337
H (-7.793, -1.068, -6.055)  0.326
H (-8.704, 0.302, -3.704)  0.283
C (-3.113, 5.022, 1.043)  -1.381
C (-4.278, 4.437, 0.251)  -0.492
N (-4.880, 3.264, 0.876)  0.268
C (-5.784, 2.534, -0.011)  -0.581
C (-7.049, 3.251, -0.478)  -0.985
C (-5.354, 3.433, 2.246)  -0.736
C (-6.390, 4.526, 2.510)  -1.013
H (-2.354, 4.263, 1.248)  0.207
H (-2.639, 5.822, 0.468)  0.440
H (-3.440, 5.455, 1.992)  0.336
H (-3.883, 4.149, -0.730)  0.454
H (-5.017, 5.227, 0.071)  0.382
H (-6.072, 1.588, 0.460)  0.300
H (-5.216, 2.238, -0.902)  0.288
H (-7.794, 3.318, 0.314)  0.208
H (-7.507, 2.682, -1.294)  0.307
H (-6.844, 4.254, -0.859)  0.330
H (-4.487, 3.629, 2.886)  0.403
H (-5.748, 2.480, 2.616)  0.396
H (-6.138, 5.470, 2.022)  0.245
H (-6.446, 4.723, 3.585)  0.391
H (-7.388, 4.223, 2.192)  0.264
C (-0.405, -0.453, 2.506)  -1.416
C (0.564, -0.080, 1.390)  -0.274
N (0.087, -0.436, 0.058)  0.114
C (1.122, -0.355, -0.970)  -0.738
C (1.714, 1.022, -1.269)  -0.887
C (-1.216, 0.100, -0.326)  -1.038
C (-1.398, 1.616, -0.296)  -0.228
H (-0.669, -1.513, 2.461)  0.327
H (0.059, -0.265, 3.478)  0.440
H (-1.324, 0.138, 2.465)  0.239
H (1.498, -0.619, 1.584)  0.444
H (0.799, 0.989, 1.466)  0.234
H (0.743, -0.785, -1.903)  0.332
H (1.945, -1.018, -0.674)  0.415
H (1.022, 1.644, -1.837)  0.281
H (2.613, 0.906, -1.884)  0.367
H (2.009, 1.556, -0.364)  0.213
H (-1.974, -0.344, 0.329)  0.411
H (-1.480, -0.267, -1.325)  0.343
H (-0.997, 2.070, 0.613)  0.165
H (-2.465, 1.856, -0.334)  -0.019
H (-0.935, 2.097, -1.160)  0.254
C (5.742, 5.243, -0.176)  -1.428
C (5.806, 3.910, 0.561)  -0.353
N (5.580, 2.755, -0.301)  0.307
C (5.347, 1.516, 0.438)  -0.873
C (6.492, 0.978, 1.293)  -0.692
C (6.460, 2.632, -1.460)  -0.713
C (7.966, 2.576, -1.206)  -1.004
H (4.801, 5.348, -0.723)  0.320
H (5.805, 6.066, 0.542)  0.438
H (6.570, 5.362, -0.879)  0.293
H (5.025, 3.932, 1.329)  0.430
H (6.764, 3.842, 1.091)  0.257
H (5.029, 0.732, -0.258)  0.314
H (4.481, 1.672, 1.094)  0.349
H (7.277, 0.532, 0.683)  0.031
H (6.115, 0.187, 1.951)  0.425
H (6.933, 1.746, 1.932)  0.251
H (6.262, 3.476, -2.130)  0.433
H (6.169, 1.753, -2.046)  0.302
H (8.300, 3.330, -0.490)  0.240
H (8.501, 2.760, -2.143)  0.387
H (8.281, 1.594, -0.851)  0.262
C (9.086, -0.331, 4.732)  -1.146
C (10.076, -1.375, 4.227)  -0.326
N (9.479, -2.688, 4.007)  0.080
C (10.465, -3.749, 3.813)  -0.704
C (11.360, -3.664, 2.578)  -0.952
C (8.331, -2.732, 3.105)  -0.797
C (8.524, -2.204, 1.684)  -0.806
H (8.572, -0.678, 5.633)  0.322
H (9.617, 0.591, 4.984)  0.439
H (8.337, -0.079, 3.977)  0.040
H (10.858, -1.469, 4.989)  0.445
H (10.565, -0.993, 3.322)  0.242
********

Here it is
No. 1
The following is a DFT calculation (wB97M-V/def2-TZVPD) of a 5-piece molecular cluster, C34H73N6O3PS2 overall.

The total energy is -3031.0481 hartree. Its spin multiplicity is 1. Its net charge is 0. The SMILES is CCSCc1c(P(=O)(O)O)c(C)cc2nsnc12.CCN(CC)CC.CCN(CC)CC.CCN(CC)CC.CCN(CC)CC. The LUMO energy is -1.878 eV.

Each line ends with the Mulliken charge.
Geometry (Å):
C (-3.903, -4.310, -2.336)  -1.118
C (-5.498, -4.114, -2.348)  0.041
S (-6.425, -5.533, -1.534)  -0.190
C (-8.232, -5.035, -1.328)  -0.774
C (-8.404, -3.633, -2.076)  -0.360
C (-8.522, -3.505, -3.642)  0.490
P (-8.482, -4.985, -4.794)  1.152
O (-7.085, -5.053, -5.480)  -0.703
O (-8.713, -6.485, -4.031)  -0.535
O (-9.654, -4.902, -6.060)  -0.561
C (-8.644, -2.013, -4.204)  0.477
C (-8.744, -1.674, -5.782)  -1.260
C (-8.636, -0.760, -3.257)  -0.741
C (-8.521, -0.864, -1.697)  0.440
N (-8.461, 0.141, -0.665)  -0.451
S (-8.301, -0.761, 0.808)  0.180
N (-8.302, -2.416, 0.324)  -0.522
C (-8.408, -2.342, -1.142)  0.347
H (-3.558, -5.084, -3.126)  0.307
H (-3.475, -4.521, -1.297)  0.332
H (-3.450, -3.296, -2.669)  0.292
H (-5.706, -3.097, -1.832)  0.163
H (-5.822, -4.041, -3.446)  0.175
H (-8.384, -4.891, -0.187)  0.418
H (-8.965, -5.847, -1.653)  0.372
H (-7.938, -7.049, -4.290)  0.352
H (-10.401, -4.357, -5.705)  0.358
H (-8.709, -2.616, -6.431)  0.361
H (-9.634, -0.995, -6.036)  0.337
H (-7.793, -1.068, -6.055)  0.326
H (-8.704, 0.302, -3.704)  0.283
C (-3.113, 5.022, 1.043)  -1.381
C (-4.278, 4.437, 0.251)  -0.492
N (-4.880, 3.264, 0.876)  0.268
C (-5.784, 2.534, -0.011)  -0.581
C (-7.049, 3.251, -0.478)  -0.985
C (-5.354, 3.433, 2.246)  -0.736
C (-6.390, 4.526, 2.510)  -1.013
H (-2.354, 4.263, 1.248)  0.207
H (-2.639, 5.822, 0.468)  0.440
H (-3.440, 5.455, 1.992)  0.336
H (-3.883, 4.149, -0.730)  0.454
H (-5.017, 5.227, 0.071)  0.382
H (-6.072, 1.588, 0.460)  0.300
H (-5.216, 2.238, -0.902)  0.288
H (-7.794, 3.318, 0.314)  0.208
H (-7.507, 2.682, -1.294)  0.307
H (-6.844, 4.254, -0.859)  0.330
H (-4.487, 3.629, 2.886)  0.403
H (-5.748, 2.480, 2.616)  0.396
H (-6.138, 5.470, 2.022)  0.245
H (-6.446, 4.723, 3.585)  0.391
H (-7.388, 4.223, 2.192)  0.264
C (-0.405, -0.453, 2.506)  -1.416
C (0.564, -0.080, 1.390)  -0.274
N (0.087, -0.436, 0.058)  0.114
C (1.122, -0.355, -0.970)  -0.738
C (1.714, 1.022, -1.269)  -0.887
C (-1.216, 0.100, -0.326)  -1.038
C (-1.398, 1.616, -0.296)  -0.228
H (-0.669, -1.513, 2.461)  0.327
H (0.059, -0.265, 3.478)  0.440
H (-1.324, 0.138, 2.465)  0.239
H (1.498, -0.619, 1.584)  0.444
H (0.799, 0.989, 1.466)  0.234
H (0.743, -0.785, -1.903)  0.332
H (1.945, -1.018, -0.674)  0.415
H (1.022, 1.644, -1.837)  0.281
H (2.613, 0.906, -1.884)  0.367
H (2.009, 1.556, -0.364)  0.213
H (-1.974, -0.344, 0.329)  0.411
H (-1.480, -0.267, -1.325)  0.343
H (-0.997, 2.070, 0.613)  0.165
H (-2.465, 1.856, -0.334)  -0.019
H (-0.935, 2.097, -1.160)  0.254
C (5.742, 5.243, -0.176)  -1.428
C (5.806, 3.910, 0.561)  -0.353
N (5.580, 2.755, -0.301)  0.307
C (5.347, 1.516, 0.438)  -0.873
C (6.492, 0.978, 1.293)  -0.692
C (6.460, 2.632, -1.460)  -0.713
C (7.966, 2.576, -1.206)  -1.004
H (4.801, 5.348, -0.723)  0.320
H (5.805, 6.066, 0.542)  0.438
H (6.570, 5.362, -0.879)  0.293
H (5.025, 3.932, 1.329)  0.430
H (6.764, 3.842, 1.091)  0.257
H (5.029, 0.732, -0.258)  0.314
H (4.481, 1.672, 1.094)  0.349
H (7.277, 0.532, 0.683)  0.031
H (6.115, 0.187, 1.951)  0.425
H (6.933, 1.746, 1.932)  0.251
H (6.262, 3.476, -2.130)  0.433
H (6.169, 1.753, -2.046)  0.302
H (8.300, 3.330, -0.490)  0.240
H (8.501, 2.760, -2.143)  0.387
H (8.281, 1.594, -0.851)  0.262
C (9.086, -0.331, 4.732)  -1.146
C (10.076, -1.375, 4.227)  -0.326
N (9.479, -2.688, 4.007)  0.080
C (10.465, -3.749, 3.813)  -0.704
C (11.360, -3.664, 2.578)  -0.952
C (8.331, -2.732, 3.105)  -0.797
C (8.524, -2.204, 1.684)  -0.806
H (8.572, -0.678, 5.633)  0.322
H (9.617, 0.591, 4.984)  0.439
H (8.337, -0.079, 3.977)  0.040
H (10.858, -1.469, 4.989)  0.445
H (10.565, -0.993, 3.322)  0.242